File:
____________
The following is a PBE calculation of an optimized crystal structure of GdWC2, from the Materials Project database.

a = 5.760 Å, b = 3.422 Å, c = 10.847 Å
α = 90.00°, β = 90.00°, γ = 90.00°
Fractional positions:
Gd (0.084, 0.250, 0.137)
Gd (0.416, 0.750, 0.637)
Gd (0.584, 0.250, 0.363)
Gd (0.916, 0.750, 0.863)
W (0.093, 0.750, 0.390)
W (0.407, 0.250, 0.890)
W (0.593, 0.750, 0.110)
W (0.907, 0.250, 0.610)
C (0.161, 0.250, 0.753)
C (0.218, 0.250, 0.482)
C (0.282, 0.750, 0.982)
C (0.339, 0.750, 0.253)
C (0.661, 0.250, 0.747)
C (0.718, 0.250, 0.018)
C (0.782, 0.750, 0.518)
C (0.839, 0.750, 0.247)

Results
Space group: Pnma (62)
Formation energy (eV/atom): -0.241
Final energy (eV per atom): -11.61
____________

To do:
The reader should repeat every line further up that contains the word "eV".

Outcome:
Formation energy (eV/atom): -0.241
Final energy (eV per atom): -11.61